He looked down at Jessie, hislover. The woman who was carrying his child. The woman he knew almost nothing about. “I know that your father is a career criminal. A dangerous man. I know that you are both con artists.”

Maren sniffed. “We are not. Wewerewomen experiencing con artistry.”

“Is that a thing?”

“Seems more fair. I don’t thinkcon artistis what we want to be defined by.”

He turned narrowed eyes to Jessie. “And you?”

“I can own it.” Her own eyes glittered, all the rage simmering there multifaceted, like a particularly sharp jewel. “Con artist fits. Why not use it?” She turned away from him, clearly wanting to put distance between the two of them.

“Other than that,” he said, looking back at Maren. “I know very little about her.”

“She’s a genius, you know. We—”

“You’re card counters. I know that. I actually saw you both months before the last poker game. While I was building up to losing my family estate and titles.”

“You’re kind of a con artist yourself,” said Maren.

Jessie whirled around. “He isabsolutelya con artist. And a coward. You had every opportunity to claim me the last time you were here and you walked away. So now what? Now that you get to play the part of Batman you’re happy to storm in? Now that you get to be the night, and vengeance and whatever else, owning up to the fact you knocked me up is cool enough for you? You didn’t want to marry me then.”

If she was remotely close to the truth it might have made him angry. But she wasn’t.

Next to the piece, the page also holds quantum chemistry results >
'''
{"formula": "C9H36FeN18O13P", "method": "ωB97M-V with the def2-TZVPD basis set", "elements": ["Fe", "P", "O", "O", "O", "O", "C", "O", "N", "N", "H", "H", "H", "H", "C", "O", "N", "N", "H", "H", "H", "H", "C", "O", "N", "N", "H", "H", "H", "H", "C", "O", "N", "N", "H", "H", "H", "H", "C", "O", "N", "N", "H", "H", "H", "H", "C", "O", "N", "N", "H", "H", "H", "H", "C", "O", "N", "N", "H", "H", "H", "H", "C", "O", "N", "N", "H", "H", "H", "H", "C", "O", "N", "N", "H", "H", "H", "H"], "xyz": [[0.764, -2.126, 1.156], [-0.034, -0.223, 0.074], [-0.992, -1.359, 0.488], [-0.704, 0.876, -0.774], [0.950, -1.252, -0.606], [0.781, -0.075, 1.383], [-1.328, 3.756, 1.250], [-1.433, 4.956, 1.566], [-0.682, 2.862, 1.931], [-1.813, 3.142, 0.162], [-0.773, 2.046, 1.344], [-0.035, 2.856, 2.706], [-1.535, 2.190, -0.029], [-2.276, 3.675, -0.560], [0.313, -1.450, -4.033], [0.062, -1.484, -5.200], [-0.402, -1.791, -2.954], [1.410, -0.946, -3.480], [-1.389, -1.938, -3.110], [-0.038, -1.518, -2.052], [1.478, -0.650, -2.516], [2.225, -0.917, -4.074], [1.129, 1.142, 4.513], [1.337, 1.557, 5.686], [1.987, 1.191, 3.594], [0.033, 0.583, 4.075], [1.751, 0.748, 2.718], [2.816, 1.769, 3.593], [-0.100, 0.417, 3.087], [-0.728, 0.657, 4.734], [-3.198, 0.294, -2.693], [-4.175, 0.213, -3.462], [-2.112, 0.864, -3.051], [-3.263, -0.104, -1.526], [-2.136, 1.335, -3.944], [-1.521, 0.853, -2.232], [-4.025, -0.494, -0.990], [-2.449, 0.084, -0.958], [4.063, 1.179, -0.331], [5.294, 1.328, -0.179], [3.512, 0.826, -1.433], [3.126, 1.434, 0.595], [3.970, 0.759, -2.331], [2.547, 0.548, -1.327], [2.316, 0.839, 0.699], [3.345, 1.817, 1.503], [-3.208, -0.647, 2.953], [-3.107, -1.781, 3.353], [-3.797, 0.180, 3.752], [-2.987, -0.085, 1.778], [-4.185, -0.147, 4.626], [-3.923, 1.133, 3.441], [-2.329, -0.563, 1.180], [-3.659, 0.623, 1.518], [1.288, 3.055, -2.696], [2.202, 3.741, -3.109], [0.713, 2.133, -3.308], [0.557, 3.351, -1.661], [0.155, 1.615, -2.645], [0.975, 1.778, -4.217], [0.862, 4.203, -1.214], [0.044, 2.595, -1.230], [3.889, -2.552, 1.036], [2.842, -2.393, 1.596], [4.872, -3.272, 1.376], [4.090, -2.009, -0.098], [4.551, -3.788, 2.182], [5.583, -3.561, 0.719], [3.444, -1.397, -0.577], [5.037, -1.870, -0.420], [-3.033, -4.237, -0.051], [-3.807, -5.134, 0.234], [-2.874, -3.243, 0.657], [-2.395, -4.086, -1.229], [-3.465, -3.311, 1.473], [-2.266, -2.446, 0.527], [-2.544, -4.870, -1.849], [-1.593, -3.484, -1.109]], "forces_ev_per_angstrom": [[0.82, -2.99, 1.74], [0.53, -2.69, -0.80], [-3.06, 0.98, 0.17], [1.74, -0.75, 1.61], [1.68, 2.33, -3.09], [-0.32, 3.05, 0.58], [-0.43, 4.29, 0.37], [-0.32, -0.86, -0.72], [1.62, -3.60, 1.37], [-2.09, 0.97, -1.75], [1.22, -0.87, 1.66], [-0.40, 0.64, -0.25], [-0.35, 0.24, -0.60], [0.16, -0.12, 0.26], [-0.47, 0.54, 2.82], [-0.51, -0.67, -2.23], [-3.38, -1.49, -0.68], [4.56, 1.66, -1.23], [0.00, 0.01, 0.37], [-0.20, -0.57, 0.32], [-0.01, -0.67, -0.16], [-0.05, 0.39, 0.25], [-0.64, 1.26, 5.64], [-0.71, -0.31, -1.12], [5.44, 0.82, -5.11], [-3.55, -0.92, 0.97], [0.14, 0.00, -0.17], [-0.27, -0.31, 0.71], [-0.23, -0.24, 0.09], [-0.18, -0.42, -0.48], [-5.64, 0.75, -6.82], [-0.56, -0.18, -0.66], [2.93, 1.35, -0.93], [0.57, -2.72, 9.09], [0.65, -0.05, 0.51], [1.41, 1.07, -1.10], [-0.16, -0.02, -1.07], [-0.20, -0.33, 0.25], [4.06, 1.58, 2.58], [-1.14, 0.08, -0.06], [-2.13, -2.00, -4.07], [-0.99, 0.62, 2.54], [0.05, -0.02, 0.51], [-0.08, 0.21, -0.75], [-0.35, -0.18, -0.38], [0.80, -0.14, -0.48], [-0.99, -1.78, 0.41], [1.54, -2.35, -0.49], [-2.29, 4.09, 3.17], [0.57, 0.51, -1.80], [0.15, 0.14, -0.37], [-0.06, -0.05, 0.67], [0.08, -0.09, -0.72], [0.65, -0.12, -0.46], [2.46, 4.56, -0.36], [1.66, 0.85, -0.51], [-2.47, -6.47, -3.90], [-0.61, 2.25, 3.99], [-0.33, -0.89, -1.36], [0.18, -0.23, 0.56], [-0.31, -0.52, 0.75], [-0.05, 0.76, 0.62], [-2.10, 2.06, -2.03], [-2.53, -0.15, 3.06], [3.27, -3.74, 3.97], [1.29, 3.26, -6.00], [1.19, -0.78, 0.10], [-0.37, -0.23, 0.48], [-0.40, -0.22, 0.53], [-0.16, -0.06, -0.01], [-1.20, -3.26, -3.85], [-0.90, -1.96, -0.13], [-0.51, 5.35, 6.27], [0.16, -0.95, -1.27], [0.59, 0.64, 0.44], [0.10, -0.23, -0.11], [1.00, 0.37, -0.17], [0.39, -0.50, -1.16]], "mulliken_spin": [3.644, 0.045, 0.532, 0.106, 0.061, 0.191, 0.004, 0.000, 0.002, 0.002, 0.009, -0.001, -0.007, 0.000, 0.016, -0.003, 0.002, 0.002, 0.005, 0.026, 0.025, 0.000, 0.015, -0.001, 0.005, 0.010, 0.019, -0.002, -0.023, 0.003, -0.003, 0.000, -0.001, 0.012, 0.000, 0.008, -0.002, -0.005, -0.002, -0.002, 0.003, 0.017, -0.003, -0.006, -0.014, 0.001, 0.041, -0.010, -0.002, -0.006, 0.000, 0.001, 0.033, 0.000, 0.001, 0.000, 0.000, 0.000, 0.002, 0.000, 0.000, 0.004, 0.101, 0.161, 0.025, 0.019, -0.058, -0.013, -0.033, 0.000, 0.058, -0.012, 0.018, 0.008, 0.011, -0.032, -0.001, -0.004], "spin_multiplicity": 6, "charge": -2, "homo_energy_ev": [0.15, -3.86], "largest_force_ev_per_a": 9.5, "e_above_lowest_kcal_mol": 23.7}
'''
The piece goes on >

“I can’t say that I want to marry younow,” he said. “But it has become a necessity. The truth is, Jessie, if I thought for one moment that my presence would have added something to the life of you or the child, I would never have left. But listen to me now. I am not the hero of your story. Not then, and not now. However, now... Now I know that you need me. Now I know that you need me to keep you safe. The scales have balanced. My absence is now more harmful than my presence. And that’s why I’m here.”

“I have done a damned good job of protecting myself. Protecting us for all this time. I don’t need you.”

“I’m afraid that we do,” said Maren. “And if you’re willing to take the chance with us, that’s fine, Jessie. We’ve always taken chances by ourselves. But the baby...”

“Don’t talk to me about the baby,” said Jessie. “The baby is mine. Mine. You,” she said, turning to face him again, “were ready to leave us.”

“I was on my way back before Maren came.”

“I’m going to leave you two to talk,” said Maren.

“Coward,” said Jessie, her eyes narrowed.

“Maybe,” said Maren. “But mostly, this isn’t my fight.”

“Youmadeit your fight,” said Jessie.

“No. I just brought in the person that you should have been discussing this with all along.”

Once Maren was gone, Jessie rounded on him.

“I’m not going to marry you.”

“Don’t be a fool, Jessie. What is the point of having this estate? What is the point of having this life if it’s under threat?”

Between two parts of the page: quantum chemistry results:
........
{
  "formula": "C8H18NO2P",
  "method": "wB97M-V/def2-TZVPD",
  "homo_energy_ha": -0.3165,
  "orbital_gap_ev": 9.551,
  "smiles": "C/C=C(/CC)CCCN=[PH](O)O",
  "relative_energy_ev": 0.000,
  "elements": ["C", "C", "C", "C", "C", "C", "C", "C", "N", "O", "O", "P", "H", "H", "H", "H", "H", "H", "H", "H", "H", "H", "H", "H", "H", "H", "H", "H", "H", "H"],
  "xyz": [[0.8448, -0.3827, 1.7650], [-0.2668, 0.7128, 1.4815], [0.1532, -1.7177, 2.0283], [-0.0817, 1.1903, -0.0074], [1.5053, 2.0787, -1.7555], [-2.4856, 0.7818, -0.5191], [1.2281, 1.7598, -0.3359], [-1.0802, 1.1754, -0.8676], [-0.4316, -2.3738, 0.9332], [0.9259, -1.4255, -1.2611], [-1.0129, -2.9234, -1.4836], [0.1268, -2.5765, -0.4761], [1.4344, -0.4153, 0.8487], [1.6029, -0.2544, 2.6080], [-1.2541, 0.4665, 1.7269], [-0.0720, 1.6067, 2.0706], [0.7597, -2.3729, 2.5857], [-0.7287, -1.4375, 2.6709], [2.5360, 2.2284, -1.8437], [0.9475, 2.9354, -2.1413], [1.2033, 1.2715, -2.3313], [-2.5610, 0.5741, 0.4912], [-2.7174, -0.2030, -1.0255], [-3.2163, 1.5253, -0.8929], [1.4110, 2.5908, 0.4319], [1.9678, 1.1304, 0.0762], [-0.7697, 1.5036, -1.8788], [1.0694, -3.5945, -0.7061], [0.7274, -0.5323, -0.9773], [-1.7657, -3.3219, -1.2146]],
  "atomic_forces_ev_per_a": [[-0.27, 0.00, 0.50], [3.42, 1.37, -1.33], [-1.75, 1.42, 1.10], [-1.37, -0.43, 2.30], [-0.78, 1.53, 0.64], [0.06, -0.83, -3.32], [0.21, 1.58, 2.28], [-0.06, 0.29, -0.87], [-0.18, -0.31, -1.83], [0.25, -0.95, -0.04], [2.93, 1.60, -2.51], [0.85, 0.25, 0.39], [0.25, -0.45, 0.44], [-1.27, 0.58, -0.88], [-1.11, -1.00, 0.22], [0.23, 0.18, 0.28], [1.01, -0.86, 0.86], [0.93, -0.41, 0.09], [1.56, 0.40, -0.58], [0.17, 0.12, 0.19], [-0.25, -1.70, -1.40], [-0.52, 0.00, 1.89], [0.04, 0.98, 0.29], [0.32, -0.39, 0.42], [-0.48, -0.24, -1.32], [1.20, -1.17, -0.08], [-1.02, -0.20, 0.44], [-0.13, 0.03, 0.04], [-0.56, 0.51, 0.07], [-3.67, -1.92, 1.70]],
  "mulliken_charge": [-0.428, -0.949, -0.911, -0.709, -1.727, -1.243, 0.279, 0.433, -0.288, -0.544, -0.460, 0.482, 0.314, 0.317, 0.573, 0.366, 0.354, 0.313, 0.447, 0.349, 0.408, 0.350, 0.185, 0.384, 0.416, 0.349, 0.249, -0.034, 0.399, 0.329]
}

---

{
  "formula": "C8H18NO3P",
  "method": "wB97M-V/def2-TZVPD",
  "spin_multiplicity": 3,
  "homo_energy_ha": [-0.1843, -0.3662],
  "orbital_gap_ev": [5.920, 7.348],
  "s_squared": 2.01,
  "relative_energy_ev": 0.000,
  "elements": ["C", "C", "C", "C", "C", "C", "C", "C", "N", "O", "O", "O", "P", "H", "H", "H", "H", "H", "H", "H", "H", "H", "H", "H", "H", "H", "H", "H", "H", "H", "H"],
........

“You don’t want this.”

He wanted her. That much was clear.

But... He did not possess the capacity to be a husband. He did not see what benefit he could be as a father.

“My name will protect you. And while we work to ensure that your father is put behind bars, you need that name.”

“My father, behind bars? Do you really think you can accomplish that? Many have tried and failed.”